
Educating Anglican Women

### The page is interrupted by crystal structures
~~~
(1)
The following is a calculated X-ray powder pattern of PrHfCu2Sb4. It was derived from a crystal structure in OQMD, relaxed with GGA-PBE, using Cu Kα X-rays.
Peak positions follow from Bragg's law for the DFT cell and can differ from measured ones.

The 10 most intense peaks (10 to 90 degrees two-theta), low angle first:
d_spacing, 2θ (°), I_rel
3.234, 27.58, 17
2.606, 34.42, 17
2.583, 34.74, 100
2.460, 36.53, 10
2.146, 42.11, 40
1.788, 51.07, 20
1.617, 56.95, 11
1.517, 61.08, 13
1.374, 68.27, 13
1.308, 72.22, 23

Cell and atoms:
a = 4.291 Å, b = 4.291 Å, c = 9.838 Å
α = 90.00°, β = 90.00°, γ = 90.00°
Sites, in units of the cell vectors:
Pr 0.000 0.000 0.000
Hf 0.500 0.500 0.483
Cu 0.000 0.500 0.727
Cu 0.500 0.000 0.727
Sb 0.000 0.000 0.564
Sb 0.000 0.500 0.261
Sb 0.500 0.000 0.261
Sb 0.500 0.500 0.891

(2)
The following is a calculated X-ray powder pattern of LiSm2Fe2N3. It was derived from a crystal structure in OQMD, relaxed with GGA-PBE, using Cu Kα X-rays.
Peak positions follow from Bragg's law for the DFT cell and can differ from measured ones.

The 10 most intense peaks (10 to 90 degrees two-theta), low angle first:
d_spacing, 2θ (°), I_rel
3.125, 28.56, 70
2.812, 31.82, 87
2.768, 32.34, 74
2.754, 32.51, 100
2.701, 33.17, 39
2.661, 33.68, 88
2.467, 36.42, 42
2.441, 36.82, 25
1.956, 46.42, 26
1.650, 55.72, 39

Cell and atoms:
a = 6.212 Å, b = 6.212 Å, c = 6.284 Å
α = 91.51°, β = 91.51°, γ = 119.50°
Sites, in units of the cell vectors:
Li 0.188 0.812 0.750
Li 0.812 0.188 0.250
Sm 0.176 0.319 0.909
Sm 0.319 0.176 0.409
Sm 0.681 0.824 0.591
Sm 0.824 0.681 0.091
Fe 0.169 0.576 0.393
Fe 0.424 0.831 0.107
Fe 0.576 0.169 0.893
Fe 0.831 0.424 0.607
N 0.009 0.266 0.529
N 0.266 0.009 0.029
N 0.430 0.570 0.250
N 0.570 0.430 0.750
N 0.734 0.991 0.971
N 0.991 0.734 0.471

(3)
The following is a calculated X-ray powder pattern of TbInGa4Ir. It was derived from a crystal structure in OQMD, relaxed with GGA-PBE, using Cu Kα X-rays.
Peak positions follow from Bragg's law for the DFT cell and can differ from measured ones.

The 10 most intense peaks (10 to 90 degrees two-theta), low angle first:
d_spacing, 2θ (°), I_rel
4.436, 20.02, 30
3.730, 23.86, 17
2.855, 31.33, 14
2.721, 32.91, 17
2.320, 38.82, 100
2.218, 40.68, 53
1.568, 58.88, 18
1.510, 61.40, 10
1.361, 69.03, 10
1.299, 72.79, 31

Cell and atoms:
a = 4.436 Å, b = 4.436 Å, c = 6.891 Å
α = 90.00°, β = 90.00°, γ = 90.00°
Sites, in units of the cell vectors:
Tb 0.000 0.000 0.000
In 0.500 0.500 0.000
Ga 0.000 0.500 0.307
Ga 0.000 0.500 0.693
Ga 0.500 0.000 0.307
Ga 0.500 0.000 0.693
Ir 0.000 0.000 0.500

(4)
The following is a calculated X-ray powder pattern of CoTcCl6. It was derived from a crystal structure in OQMD, relaxed with GGA-PBE, using Cu Kα X-rays.
Peak positions follow from Bragg's law for the DFT cell and can differ from measured ones.

The 10 most intense peaks (10 to 90 degrees two-theta), low angle first:
d_spacing, 2θ (°), I_rel
5.959, 14.87, 82
5.242, 16.91, 18
5.044, 17.58, 32
~~~

The Global Women’s Fund of New York seeks to effect positive societal change by educating Anglican women for the transformation of  themselves, their families, their local communities, and the world.

To Our Benefactors and Friends,

In this time of global pandemic, the Global Women’s Fund of New York (GWF) is continuing to empower Anglican women and girls in the developing world through education. Despite the challenges facing the Episcopal Diocese of New York caused by the sheltering-in-place mandate, the GWF has been able to meet our scholarship commitments worldwide and remain in contact with the global women whose education depends on our mission.

Importantly, however, the GWF Board recently has made hard decisions with respect to the current grant cycle.

First, scholarship awards will be delayed. In a typical calendar year, applications for individual scholarships would be considered in the winter and early spring, leading to an announcement in late May of that year’s scholarship recipients. In 2020, we believe it prudent, before awarding scholarships, to determine whether the institutions of higher education where recipients plan to matriculate will be able to remain open. This will delay the awarding of scholarships this year.

Second, no seminars will be funded in 2020. Each year, the GWF makes grants for educational seminars that reach a larger number of women and girls. This year, we seek to support efforts in developing countries to slow the spread of the coronavirus by not granting awards for seminars that would bring together large groups. In early 2021, we will consider whether seminar grants can then be made, and any pending applications from 2020 will be considered, if requested.

Despite these decisions, the GWF remains fervently committed to our mission of helping women obtain higher education that will equip them to be leaders for their local communities. Perhaps especially as a result of the pandemic, women’s leadership is needed more than ever for a better world. We are grateful for your past financial gifts to the GWF and bid your prayers for the women whose education you are supporting. Know of our gratitude for your generosity and our prayers for you.

Judi Counts


In 2004, the Rt. Rev. Catherine S. Roskam established The Global Women’s Fund of New York in response to a global need to empower women and promote gender equality. Recognizing education to be a key means for raising women’s contributions and influence, the Global Women’s Fund has supported the higher education of 60 Anglican women, in such fields as ministry and medicine, community development and computer science. Educational seminars have reached over 3,000 Anglican women and girls. The work has enabled Anglican women to become leaders for the communities and effect positive social change. Recipients live in Africa, Asia, the Middle East, and the Americas.

In 2017, the GWF established two awards specifically to honor the ideas and initiatives of its founders, Bishop Roskam and Kathi Watts Grossman, who served as the Chair of the Global Women’s Fund over the its first decade. The Bishop Catherine S. Roskam Scholarship will be awarded each year to a seminarian or ordained woman pursuing advanced theological education. The Kathi Watts Grossman Award will be granted annually, beginning in 2018, for a seminar of exceptional merit.

Won’t you give?

To make a donation online, please CLICK HERE.

To donate by check, make payable to:
Episcopal Diocese of New York
Memo: Global Women’s Fund

And send to:  
Episcopal Diocese of New York
Ms. Gina Brown
1047 Amsterdam Avenue
New York, NY  10025


Global Women’s Fund Board Members

Hazel Carter
Peter Christensen
Judi Counts – Chair
Susie Erdey
Ruth Anne Giannetto – Treasurer

Dianne Roberts, Esq. – Vice Chair
Liza Thomas
J.B. Wyker
The Rt. Rev, Mary D. Glasspool – Ex-Officio
The Rev. Yamily Bass-Choate – Staff
Sharon Luke – Admin. Asst.

Global Women's Fund Contact

Ms. Sharon Luke
Global Women’s Fund Liaison, Receptionist

Office: 212-932-7326


Global Women's Fund Brochure


    Global Women’s Fund 2019 Scholarships and Grants


    “Sometimes the ripples from the life of an educated woman move out far too significantly to measure easily.
    The empowerment of one woman can be the pivotal point upon which generations turn.”  

    The Rt. Rev. Catherine S. Roskam
    Bishop Suffragan (Retired)
    Episcopal Diocese of New York

    My education has changed my life. I have developed self- confidence and self-respect. I have peace and happiness because I chose a noble profession. Though I have some struggles and fear starting my career, I’m confident that I can take my family to a good position. My family and people surrounding me believe in my knowledge and empathy that I’ll be able to serve them to the best of my ability. They believe that health problems don’t matter anymore since we have a doctor in our family. Further, we thought that MBBS [Bachelor of Medicine, Bachelor of Surgery] was like a rich people’s profession and now that thought has been erased by me, thanks to the support of Global Women’s Fund.

    Dr. Revathy Veera, Bachelor of Medicine, Bachelor of Surgery